_File_
____________
The following is a quantum chemistry calculation of a cluster of 4 separate species, C4H12O4 in total, from OMol25.

Computed properties:
**Charge**: 0
**Strongest force on any atom**: 2.02 eV/A
**Gap between HOMO and LUMO**: 8.48 eV
**Calculated total energy**: -12530.6238 eV
**Multiplicity**: 1
**Energy above the lowest of the compared OMol25 structures with the same formula, charge and spin**: 2.468 eV

```
20
Properties=species:S:1:pos:R:3:nbo_charge:R:1
C -1.390 -1.312 -1.162 -0.39
C -1.972 -0.637 -0.188 -0.20
C -1.893 -0.827 1.278 -0.35
C -0.664 -0.686 1.785 0.15
O -0.480 -0.901 3.132 -0.69
H -1.419 -0.946 -2.181 0.19
H -0.912 -2.274 -1.011 0.19
H -2.430 0.293 -0.489 0.19
H -2.647 -1.185 1.953 0.22
H 0.156 -0.323 1.186 0.19
H 0.389 -0.556 3.370 0.48
H 1.530 -1.127 -2.441 0.48
H 2.669 -0.692 -1.466 0.47
O 1.749 -0.980 -1.509 -0.94
H 0.311 3.351 -0.952 0.47
H 1.538 2.674 -1.394 0.47
O 0.577 2.566 -1.449 -0.93
H 2.324 0.966 0.494 0.45
H 1.007 1.207 0.125 0.49
____________

_Request_
Type out the calculation results above unchanged.

_Worked solution_
The following is a quantum chemistry calculation of a cluster of 4 separate species, C4H12O4 in total, from OMol25.

Computed properties:
**Charge**: 0
**Strongest force on any atom**: 2.02 eV/A
**Gap between HOMO and LUMO**: 8.48 eV
**Calculated total energy**: -12530.6238 eV
**Multiplicity**: 1
**Energy above the lowest of the compared OMol25 structures with the same formula, charge and spin**: 2.468 eV

```
20
Properties=species:S:1:pos:R:3:nbo_charge:R:1
C -1.390 -1.312 -1.162 -0.39
C -1.972 -0.637 -0.188 -0.20
C -1.893 -0.827 1.278 -0.35
C -0.664 -0.686 1.785 0.15
O -0.480 -0.901 3.132 -0.69
H -1.419 -0.946 -2.181 0.19
H -0.912 -2.274 -1.011 0.19
H -2.430 0.293 -0.489 0.19
H -2.647 -1.185 1.953 0.22
H 0.156 -0.323 1.186 0.19
H 0.389 -0.556 3.370 0.48
H 1.530 -1.127 -2.441 0.48
H 2.669 -0.692 -1.466 0.47
O 1.749 -0.980 -1.509 -0.94
H 0.311 3.351 -0.952 0.47
H 1.538 2.674 -1.394 0.47
O 0.577 2.566 -1.449 -0.93
H 2.324 0.966 0.494 0.45
H 1.007 1.207 0.125 0.49